Job
Filter the rows underneath: keep the lines with the word "Fmm2".

Given
........
<one>
# KMg2W

A relaxed structure of KMg2W (PBE, Alexandria via LeMat-Bulk).

```
KMg2W
1.0
-2.761 2.761 9.831
2.761 -2.761 9.831
2.761 2.761 -9.831
K Mg W
2 4 2
Direct
0.000 0.000 0.000
0.750 0.250 0.500
0.302 0.625 0.177
0.375 0.552 0.677
0.448 0.125 0.823
0.875 0.698 0.323
0.250 0.750 0.500
0.500 0.500 0.000
```

Computed properties:
SG = I-42d (122)
Calculated volume = 299.8 Å³/cell
DOS at the Fermi energy = 5.85 states/eV per cell

=====

<two>
# KMg2W

A relaxed structure of KMg2W (PBE, Alexandria via LeMat-Bulk).

```
KMg2W
1.0
5.100 -1.409 0.000
5.100 1.409 0.000
-0.409 0.000 7.444
K Mg W
1 2 1
Direct
0.000 0.000 0.000
0.504 0.504 0.562
0.761 0.761 0.346
0.240 0.240 0.668
```

Computed properties:
SG = Cm (8)
Calculated volume = 107.0 Å³/cell
DOS at the Fermi energy = 3.19 states/eV per cell

=====

<three>
# KMg2W

A relaxed structure of KMg2W (PBE, Alexandria via LeMat-Bulk).

```
KMg2W
1.0
0.000 3.651 3.651
3.651 0.000 3.651
3.651 3.651 0.000
K Mg W
1 2 1
Direct
0.000 0.000 0.000
0.250 0.250 0.250
0.750 0.750 0.750
0.500 0.500 0.500
```

Computed properties:
SG = Fm-3m (225)
Calculated volume = 97.3 Å³/cell
DOS at the Fermi energy = 2.58 states/eV per cell

=====

Q: Which of them is the most stable? A: <two>.

=====

<one>
# KMg3W

A relaxed structure of KMg3W (PBE, Alexandria via LeMat-Bulk).

```
KMg3W
1.0
5.482 0.000 0.000
0.000 5.482 0.000
0.000 0.000 5.482
K Mg W
1 3 1
Direct
0.000 0.000 0.000
0.000 0.500 0.500
0.500 0.000 0.500
0.500 0.500 0.000
0.500 0.500 0.500
```

Computed properties:
SG = Pm-3m (221)
Calculated volume = 164.7 Å³/cell
DOS at the Fermi energy = 3.61 states/eV per cell

=====

<two>
# KMg3W

A relaxed structure of KMg3W (PBE, Alexandria via LeMat-Bulk).

```
KMg3W
1.0
5.096 0.000 0.000
0.000 5.096 0.000
0.000 0.000 5.096
K Mg W
1 3 1
Direct
0.000 0.000 0.000
0.000 0.000 0.500
0.000 0.500 0.000
0.500 0.000 0.000
0.500 0.500 0.500
```

Computed properties:
SG = Pm-3m (221)
Calculated volume = 132.4 Å³/cell
DOS at the Fermi energy = 3.88 states/eV per cell

=====

Q: Which of them is the most stable? A: <one>.

=====

<one>
# KMgW

A relaxed structure of KMgW (PBE, Alexandria via LeMat-Bulk).

```
KMgW
1.0
0.000 2.330 8.772
1.635 0.000 8.772
1.635 2.330 0.000
K Mg W
1 1 1
Direct
0.000 0.000 0.000
0.308 0.308 0.692
0.673 0.673 0.327
```

Computed properties:
SG = Fmm2 (42)
Calculated volume = 66.8 Å³/cell
DOS at the Fermi energy = 2.61 states/eV per cell

=====

<two>
# KMgW

A relaxed structure of KMgW (PBE, Alexandria via LeMat-Bulk).

```
KMgW
1.0
0.000 3.690 3.690
3.690 0.000 3.690
3.690 3.690 0.000
K Mg W
1 1 1
Direct
0.000 0.000 0.000
0.750 0.750 0.750
0.500 0.500 0.500
```

Computed properties:
SG = F-43m (216)
Calculated volume = 100.5 Å³/cell
DOS at the Fermi energy = 1.64 states/eV per cell

=====

Q: Which of them is the most stable? A: <one>.

=====

<one>
# KMgW

A relaxed structure of KMgW (PBE, Alexandria via LeMat-Bulk).

```
KMgW
1.0
-1.343 2.401 6.268
1.343 -2.401 6.268
1.343 2.401 -6.268
K Mg W
1 1 1
Direct
0.000 0.000 0.000
0.718 0.718 0.000
0.288 0.288 0.000
```

Computed properties:
SG = Imm2 (44)
Calculated volume = 80.8 Å³/cell
DOS at the Fermi energy = 3.55 states/eV per cell

=====

<two>
# KMgW

A relaxed structure of KMgW (PBE, Alexandria via LeMat-Bulk).

```
KMgW
1.0
-1.422 1.422 8.653
1.422 -1.422 8.653
1.422 1.422 -8.653
K Mg W
1 1 1
Direct
0.000 0.000 0.000
0.296 0.296 0.000
0.672 0.672 0.000
```

Computed properties:
SG = I4mm (107)
Calculated volume = 70.0 Å³/cell
DOS at the Fermi energy = 2.43 states/eV per cell

=====

<three>
# KMgW

A relaxed structure of KMgW (PBE, Alexandria via LeMat-Bulk).

```
KMgW
1.0
0.000 3.851 3.851
3.851 0.000 3.851
3.851 3.851 0.000
K Mg W
1 1 1
Direct
0.000 0.000 0.000
0.750 0.750 0.750
0.250 0.250 0.250
```

Computed properties:
SG = F-43m (216)
Calculated volume = 114.2 Å³/cell
DOS at the Fermi energy = 1.35 states/eV per cell

=====

Q: Which of them is the most stable? A: <two>.

=====

<one>
# KMg3Zn
........

Result
SG = Fmm2 (42)